Material.
+++
[1]
Material: Sm3DyEr2As6
Method: DFT, PBE
State: optimized geometry

For the energy of formation from the pure elements, the calculation gives -1.523 eV/atom. The volume comes out at 608.74 Å³/cell. As for the electronic total energy: -6.171 eV/atom.

The structure belongs to space group C2/m (No. 12); the cell edges are 7.1989, 12.4660 and 7.1940 Å and the angles 90.00°, 109.46° and 90.00°. The asymmetric unit holds Sm at (0.0000, 0.0000, 0.0000), Sm at (0.0000, 0.3336, 0.0000), Dy at (0.0000, 0.5000, 0.5000), Er at (0.0000, 0.1668, 0.5000), As at (0.2463, 0.0000, 0.7424) and As at (0.2481, 0.3327, 0.7426).

---

[2]
Material: Ca2SiPd3
Method: DFT, PBE
State: optimized geometry

The volume comes out at 530.54 Å³/cell. As for the electronic total energy: -4.798 eV/atom. The calculation puts the formation energy without anion corrections at -60.8 kJ/mol of atoms.

The structure belongs to space group Cmcm (No. 63); the cell edges are 11.5532, 8.5568 and 5.3666 Å and the angles 90.00°, 90.00° and 90.00°. The asymmetric unit holds Ca at (0.1571, 0.1772, 0.2500), Si at (0.0000, 0.3489, 0.7500), Pd at (0.0000, 0.0810, 0.7500) and Pd at (0.1318, 0.5000, 0.0000).

----------

{
  "formula": "Na2UTiSe4",
  "functional": "PBE-GGA",
  "state": "relaxed",
  "cell": [[3.987, 0.000, 0.000], [0.000, 6.786, 0.101], [0.000, -2.402, 7.059]],
  "species": ["Na", "Na", "U", "Ti", "Se", "Se", "Se", "Se"],
  "frac_coords": [[0.500, 0.000, 0.500], [0.000, 0.500, 0.500], [0.000, 0.000, 0.000], [0.500, 0.500, 0.000], [0.500, 0.259, 0.230], [0.500, 0.741, 0.770], [0.000, 0.275, 0.782], [0.000, 0.725, 0.218]],
  "dos_ef_per_ev_atom": 0.56,
  "sg": "P2/m, No. 10",
  "total_magnetization_mub_per_fu": 4.0,
  "e_form_raw_ev_per_atom": -1.18
}

----------

Compound: TlGe4
Source: the Alexandria database
Functional: PBE-GGA
Structure: relaxed

a = 5.3088 Å, b = 5.3088 Å, c = 5.3088 Å
α = 90.00°, β = 90.00°, γ = 90.00°
Last column: nearest neighbours and their distance in Å.
Space group Pm-3m (No. 221)
Unique sites:
Tl  0.0000  0.0000  0.0000 [1 per cell]  6 Ge 2.65
Ge  0.0000  0.0000  0.5000 [3 per cell]  2 Tl 2.65
Ge  0.5000  0.5000  0.5000 [1 per cell]  12 Ge 3.75

Computed properties:
Energy: -3.021 eV per atom
Energy of formation: 1.15 eV/atom

----------

No. 1
The following is a PBE calculation of an optimized crystal structure of Sb4PbW, from Alexandria.

abc: 6.179 6.179 6.179
angles: 60.00 60.00 60.00
Element x y z (fractional)
1 Sb 0.125 0.125 0.125
2 Sb 0.125 0.125 0.626
3 Sb 0.125 0.626 0.125
4 Sb 0.626 0.125 0.125
5 Pb 0.500 0.500 0.500
6 W 0.750 0.750 0.750

Computed properties:
Energy relative to the elements, uncorrected = 1.063 eV per atom

No. 2
The following is a PBE calculation of an optimized crystal structure of PrYLuCd, from Alexandria.

abc: 5.496 5.496 5.496
angles: 60.00 60.00 60.00
Element x y z (fractional)
1 Pr 0.000 0.000 0.000
2 Y 0.500 0.500 0.500
3 Lu 0.750 0.750 0.750
4 Cd 0.250 0.250 0.250

Computed properties:
Formation energy from the elements = -21 kJ/mol of formula units

No. 3
The following is a PBE calculation of an optimized crystal structure of LiRhSe2, from Alexandria.

abc: 6.403 6.403 6.403
angles: 150.00 147.22 45.03
Element x y z (fractional)
1 Li 0.000 0.000 0.000
2 Rh 0.270 0.770 0.500
3 Se 0.429 0.429 0.000
4 Se 0.686 0.186 0.500

Computed properties:
Energy relative to the elements, uncorrected = -0.435 eV per atom

No. 4
The following is a PBE calculation of an optimized crystal structure of CsCdInAu2, from Alexandria.

abc: 6.978 6.978 6.978
angles: 138.88 138.88 59.55
Element x y z (fractional)
1 Cs 0.000 0.000 0.000
2 Cd 0.250 0.750 0.500
3 In 0.750 0.250 0.500
4 Au 0.381 0.381 0.000
5 Au 0.619 0.619 0.000

Computed properties:
Polymorph energy (0 for the lowest one) = 0.0 meV per atom
Formation energy from the elements = -108 kJ/mol of formula units

No. 5
The following is a PBE calculation of an optimized crystal structure of Tb2RhAu4, from Alexandria.

abc: 5.875 5.875 6.014
+++

Work order.
Reproduce the whole of the entries earlier on word for word.

Completed.
[1]
Material: Sm3DyEr2As6
Method: DFT, PBE
State: optimized geometry

For the energy of formation from the pure elements, the calculation gives -1.523 eV/atom. The volume comes out at 608.74 Å³/cell. As for the electronic total energy: -6.171 eV/atom.

The structure belongs to space group C2/m (No. 12); the cell edges are 7.1989, 12.4660 and 7.1940 Å and the angles 90.00°, 109.46° and 90.00°. The asymmetric unit holds Sm at (0.0000, 0.0000, 0.0000), Sm at (0.0000, 0.3336, 0.0000), Dy at (0.0000, 0.5000, 0.5000), Er at (0.0000, 0.1668, 0.5000), As at (0.2463, 0.0000, 0.7424) and As at (0.2481, 0.3327, 0.7426).

---

[2]
Material: Ca2SiPd3
Method: DFT, PBE
State: optimized geometry

The volume comes out at 530.54 Å³/cell. As for the electronic total energy: -4.798 eV/atom. The calculation puts the formation energy without anion corrections at -60.8 kJ/mol of atoms.

The structure belongs to space group Cmcm (No. 63); the cell edges are 11.5532, 8.5568 and 5.3666 Å and the angles 90.00°, 90.00° and 90.00°. The asymmetric unit holds Ca at (0.1571, 0.1772, 0.2500), Si at (0.0000, 0.3489, 0.7500), Pd at (0.0000, 0.0810, 0.7500) and Pd at (0.1318, 0.5000, 0.0000).

----------

{
  "formula": "Na2UTiSe4",
  "functional": "PBE-GGA",
  "state": "relaxed",
  "cell": [[3.987, 0.000, 0.000], [0.000, 6.786, 0.101], [0.000, -2.402, 7.059]],
  "species": ["Na", "Na", "U", "Ti", "Se", "Se", "Se", "Se"],
  "frac_coords": [[0.500, 0.000, 0.500], [0.000, 0.500, 0.500], [0.000, 0.000, 0.000], [0.500, 0.500, 0.000], [0.500, 0.259, 0.230], [0.500, 0.741, 0.770], [0.000, 0.275, 0.782], [0.000, 0.725, 0.218]],
  "dos_ef_per_ev_atom": 0.56,
  "sg": "P2/m, No. 10",
  "total_magnetization_mub_per_fu": 4.0,
  "e_form_raw_ev_per_atom": -1.18
}

----------

Compound: TlGe4
Source: the Alexandria database
Functional: PBE-GGA
Structure: relaxed

a = 5.3088 Å, b = 5.3088 Å, c = 5.3088 Å
α = 90.00°, β = 90.00°, γ = 90.00°
Last column: nearest neighbours and their distance in Å.
Space group Pm-3m (No. 221)
Unique sites:
Tl  0.0000  0.0000  0.0000 [1 per cell]  6 Ge 2.65
Ge  0.0000  0.0000  0.5000 [3 per cell]  2 Tl 2.65
Ge  0.5000  0.5000  0.5000 [1 per cell]  12 Ge 3.75

Computed properties:
Energy: -3.021 eV per atom
Energy of formation: 1.15 eV/atom

----------

No. 1
The following is a PBE calculation of an optimized crystal structure of Sb4PbW, from Alexandria.

abc: 6.179 6.179 6.179
angles: 60.00 60.00 60.00
Element x y z (fractional)
1 Sb 0.125 0.125 0.125
2 Sb 0.125 0.125 0.626
3 Sb 0.125 0.626 0.125
4 Sb 0.626 0.125 0.125
5 Pb 0.500 0.500 0.500
6 W 0.750 0.750 0.750

Computed properties:
Energy relative to the elements, uncorrected = 1.063 eV per atom

No. 2
The following is a PBE calculation of an optimized crystal structure of PrYLuCd, from Alexandria.

abc: 5.496 5.496 5.496
angles: 60.00 60.00 60.00
Element x y z (fractional)
1 Pr 0.000 0.000 0.000
2 Y 0.500 0.500 0.500
3 Lu 0.750 0.750 0.750
4 Cd 0.250 0.250 0.250

Computed properties:
Formation energy from the elements = -21 kJ/mol of formula units

No. 3
The following is a PBE calculation of an optimized crystal structure of LiRhSe2, from Alexandria.

abc: 6.403 6.403 6.403
angles: 150.00 147.22 45.03
Element x y z (fractional)
1 Li 0.000 0.000 0.000
2 Rh 0.270 0.770 0.500
3 Se 0.429 0.429 0.000
4 Se 0.686 0.186 0.500

Computed properties:
Energy relative to the elements, uncorrected = -0.435 eV per atom

No. 4
The following is a PBE calculation of an optimized crystal structure of CsCdInAu2, from Alexandria.

abc: 6.978 6.978 6.978
angles: 138.88 138.88 59.55
Element x y z (fractional)
1 Cs 0.000 0.000 0.000
2 Cd 0.250 0.750 0.500
3 In 0.750 0.250 0.500
4 Au 0.381 0.381 0.000
5 Au 0.619 0.619 0.000

Computed properties:
Polymorph energy (0 for the lowest one) = 0.0 meV per atom
Formation energy from the elements = -108 kJ/mol of formula units

No. 5
The following is a PBE calculation of an optimized crystal structure of Tb2RhAu4, from Alexandria.

abc: 5.875 5.875 6.014